(Brief)
The reader should count the lines below that contain the word "Br" and give the number alone.

(Listing)
=====
1.
Formula: C27H18BrCsN4O5
Source: the Open Molecules 2025 dataset
Level of theory: wB97M-V/def2-TZVPD

Computed properties:
Charge   -2
Gap between HOMO and LUMO   3.96 eV
Energy relative to the best compared isomer or geometry (same formula, charge and spin)   0.0 kcal per mole
Maximum force   3.85 eV/Å

Structure (XYZ):
```
56
Properties=species:S:1:pos:R:3:lowdin_charge:R:1
C 3.82627 -1.76014 3.01024 -0.111
C -4.86285 -3.04412 2.56943 -0.154
C 4.39661 -3.00205 2.82142 -0.712
H -4.36621 -0.33142 -0.08637 0.061
O 1.23835 -0.89068 -7.21839 0.022
C 2.76358 -1.87093 0.70831 -0.362
C 2.93106 -1.19084 2.04367 -0.129
C -1.66549 -0.06610 -3.72190 -0.554
C 1.76446 4.19840 2.97895 -0.110
C -5.95410 -2.35439 2.07989 -0.182
H 2.30668 4.71047 3.77330 0.095
C 0.30867 -0.69737 -6.44336 -0.543
H 4.62306 -4.73948 1.66871 0.090
C -3.42664 -1.67031 1.31692 -0.380
O -2.07986 0.40143 -2.61483 -0.101
C 2.42216 0.09171 2.31904 -0.116
N 1.61277 0.75987 1.53773 0.046
H 2.36434 -1.13654 -2.34979 0.143
C 0.58255 -0.68578 -4.99590 -0.063
H -1.08824 2.28432 -1.87235 0.089
H -2.70357 -3.23765 2.65228 0.047
O 2.13259 -1.41532 -0.28341 -0.146
N -0.11513 2.17170 -0.09047 -0.002
H 2.76976 -1.21733 -4.95130 0.124
C -1.30211 4.18617 -0.72579 -0.026
C -3.53159 -2.70436 2.21050 -0.200
H 2.79753 0.52743 3.30026 0.125
H -5.01655 -3.87041 3.27008 0.066
C 4.16982 -3.72346 1.62343 -0.165
H -6.59939 -0.83306 0.72091 0.076
C -0.88381 2.82307 -0.94782 -0.108
H -1.60915 -0.41936 -5.97262 0.054
C 0.33814 2.75728 1.01738 -0.157
O -0.94011 -0.49065 -6.82038 0.058
C -4.47733 -1.06409 0.70297 -0.217
H -1.91283 4.77187 -1.42151 0.098
H -1.20682 5.79623 0.63382 0.089
H -6.95239 -2.51997 2.40467 0.066
N 1.65392 -1.02023 -3.11602 -0.012
C -0.87604 4.81267 0.44747 -0.042
H 3.15567 -3.78605 -0.24314 0.101
C 3.38556 -3.20025 0.63569 -0.023
H 4.13360 -1.18348 3.88525 0.097
C 1.35110 2.05547 1.81478 -0.207
Br 5.24805 -3.93601 4.26895 0.619
C 2.12385 2.89507 2.67294 -0.045
H 3.08851 2.53410 2.97793 0.086
C 0.67830 4.80799 2.36259 -0.068
C 1.82857 -0.96124 -4.47351 -0.018
O -2.37854 -0.17713 -4.80368 -0.039
Cs -0.86896 -0.67181 0.17112 1.077
C 0.00604 4.15375 1.30903 -0.161
C -5.76698 -1.41259 1.11716 -0.161
N 0.41959 -0.72793 -2.71664 0.053
H 0.44366 5.78920 2.65869 0.080
C -0.28014 -0.51567 -3.81629 -0.150
```

2.
Formula: C27H18NO8SSbSc
Source: the Open Molecules 2025 dataset
Level of theory: wB97M-V/def2-TZVPD

Computed properties:
Charge   -1
Gap between HOMO and LUMO   8.48 eV
Energy relative to the best compared isomer or geometry (same formula, charge and spin)   26.9 kcal per mole
Maximum force   2.45 eV/Å

Structure (XYZ):
```
57
Properties=species:S:1:pos:R:3:lowdin_charge:R:1
Sb -1.07442 -0.66131 0.20933 1.259
C 3.09349 -1.30198 3.53855 -0.518
C -3.59074 2.62330 -1.36500 -0.086
C 0.80732 2.40394 0.40242 -0.550
H 2.13244 -3.79742 -2.30114 0.109
H 5.65841 4.05865 1.81703 0.120
O 4.60010 0.20133 0.87113 -0.086
H -3.72422 3.17615 -2.28642 0.100
C -4.14542 -3.13307 -1.71135 -0.096
H -4.65762 -3.11449 -2.66561 0.097
H 1.51002 5.08651 1.11128 0.118
C -4.38768 2.90367 -0.26415 -0.093
S -0.36204 -0.87544 2.33870 0.123
C 1.62476 -2.15450 -3.58628 -0.088
N 3.06734 2.15348 0.99923 0.076
C -2.52961 -2.18828 -0.18985 -0.333
O 3.47020 -1.57271 4.64469 0.113
H -5.18667 -4.87485 -1.01015 0.095
H 3.82865 5.77487 1.79009 0.105
C 0.15258 -1.19338 -1.44076 -0.333
H -3.06411 0.69200 1.93377 0.084
H -2.31061 -3.19171 1.68727 0.077
C 1.58118 -2.87145 -2.39997 -0.068
C -2.82953 -3.17944 0.73453 -0.122
C 4.31331 2.48687 1.28520 -0.143
H 0.82610 -2.95136 -0.39453 0.104
C -3.78414 -4.14614 0.43926 -0.093
C 2.31867 4.37392 1.18840 0.018
H 2.20102 -2.52798 -4.42333 0.099
C 4.63537 3.79875 1.58471 0.021
C -3.22378 1.22629 1.00311 -0.124
H 0.99442 -0.37819 -4.61531 0.100
H -4.01349 -4.91949 1.16188 0.099
O 2.56230 -1.91926 1.26026 -0.160
O 6.45411 1.46652 1.12151 0.068
C 5.25163 1.28790 1.10767 -0.568
H -1.98087 1.46179 -2.14288 0.082
C -4.20289 2.20660 0.92045 -0.082
C -4.44203 -4.12243 -0.78138 -0.103
=====

(Reply)
1